Request:
Repeat the rows further below verbatim, please.
Contents:
- - -
Entry 1:
A relaxed LaPm2F8 crystal. Source: Alexandria via LeMat-Bulk, functional PBE.

Results
ΔE_f (raw) ... -3.9119 eV per atom
Energy relative to the lowest polymorph listed for this composition ... 0 meV/atom
Crystal system ... monoclinic
Spin magnetization ... 0.09 μB per atom
Space group ... C2/m
Final energy ... -72.4 eV/f.u.

a = 8.0806 Å, b = 8.0806 Å, c = 5.8531 Å
α = 110.01°, β = 110.01°, γ = 26.65°
Sites, in units of the cell vectors:
La (0.0000, 0.0000, 0.0000)
Pm (0.3193, 0.3193, 0.3171)
Pm (0.6807, 0.6807, 0.6829)
F (0.1022, 0.1022, 0.4455)
F (0.1818, 0.1818, 0.9593)
F (0.2800, 0.2800, 0.6721)
F (0.4503, 0.4503, 0.2279)
F (0.5497, 0.5497, 0.7721)
F (0.7200, 0.7200, 0.3279)
F (0.8182, 0.8182, 0.0407)
F (0.8978, 0.8978, 0.5545)

Entry 2:
A relaxed VGaIr2 crystal. Source: Alexandria via LeMat-Bulk, functional PBE.

Results
Crystal system ... tetragonal
Spin magnetization ... 0.29 μB per atom
Space group ... P4/mmm
Final energy ... -31.2 eV/f.u.

a = 4.0450 Å, b = 4.0450 Å, c = 3.4972 Å
α = 90.00°, β = 90.00°, γ = 90.00°
Sites, in units of the cell vectors:
V (0.0000, 0.0000, 0.0000)
Ga (0.5000, 0.5000, 0.0000)
Ir (0.0000, 0.5000, 0.5000)
Ir (0.5000, 0.0000, 0.5000)

Entry 3:
A relaxed Hf2Be3Ir crystal. Source: Alexandria via LeMat-Bulk, functional PBE.

Results
Crystal system ... trigonal
Spin magnetization ... 0.00 μB per atom
Space group ... R-3m
Final energy ... -42.5 eV/f.u.

a = 4.8431 Å, b = 4.8431 Å, c = 4.8431 Å
α = 60.89°, β = 60.89°, γ = 60.89°
Sites, in units of the cell vectors:
Hf (0.1246, 0.1246, 0.1246)
Hf (0.8754, 0.8754, 0.8754)
Be (0.0000, 0.5000, 0.5000)
Be (0.5000, 0.0000, 0.5000)
Be (0.5000, 0.5000, 0.0000)
Ir (0.5000, 0.5000, 0.5000)

Entry 4:
A relaxed ZrRu2Br crystal. Source: Alexandria via LeMat-Bulk, functional PBE.

Results
ΔE_f (raw) ... 0.8068 eV per atom
Energy relative to the lowest polymorph listed for this composition ... 820 meV/atom
Crystal system ... tetragonal
Spin magnetization ... 0.00 μB per atom
Space group ... I-42d
Final energy ... -25.5 eV/f.u.

a = 5.5007 Å, b = 5.5007 Å, c = 12.3667 Å
α = 90.00°, β = 90.00°, γ = 90.00°
Sites, in units of the cell vectors:
Zr (0.0000, 0.0000, 0.0000)
Zr (0.0000, 0.5000, 0.2500)
Zr (0.5000, 0.0000, 0.7500)
Zr (0.5000, 0.5000, 0.5000)
Ru (0.2225, 0.2500, 0.6250)
Ru (0.2500, 0.7225, 0.8750)
Ru (0.2500, 0.7775, 0.3750)
Ru (0.2775, 0.2500, 0.1250)
Ru (0.7225, 0.7500, 0.1250)
Ru (0.7500, 0.2225, 0.3750)
Ru (0.7500, 0.2775, 0.8750)
Ru (0.7775, 0.7500, 0.6250)
Br (0.0000, 0.0000, 0.5000)
Br (0.0000, 0.5000, 0.7500)
Br (0.5000, 0.0000, 0.2500)
Br (0.5000, 0.5000, 0.0000)

Entry 5:
A relaxed Ac4La2Ho3 crystal. Source: Alexandria via LeMat-Bulk, functional PBE.

Results
Crystal system ... monoclinic
Spin magnetization ... 0.00 μB per atom
Space group ... C2/m
Final energy ... -39.6 eV/f.u.

a = 6.5210 Å, b = 6.5210 Å, c = 11.3049 Å
α = 106.35°, β = 106.35°, γ = 48.95°
Sites, in units of the cell vectors:
Ac (0.0069, 0.0069, 0.3355)
Ac (0.3340, 0.3340, 0.1126)
Ac (0.6660, 0.6660, 0.8874)
Ac (0.9931, 0.9931, 0.6645)
La (0.3294, 0.3294, 0.7720)
La (0.6706, 0.6706, 0.2280)
Ho (0.0000, 0.0000, 0.0000)
Ho (0.3363, 0.3363, 0.4491)
Ho (0.6637, 0.6637, 0.5509)

Entry 6:
A relaxed Y4GaAg2Hg crystal. Source: Alexandria via LeMat-Bulk, functional PBE.

Results
Crystal system ... trigonal
Spin magnetization ... 0.00 μB per atom
Space group ... R-3m
Final energy ... -38.5 eV/f.u.

a = 8.9539 Å, b = 8.9539 Å, c = 8.9539 Å
α = 33.54°, β = 33.54°, γ = 33.54°
Sites, in units of the cell vectors:
Y (0.1228, 0.1228, 0.1228)
Y (0.3728, 0.3728, 0.3728)
Y (0.6272, 0.6272, 0.6272)
Y (0.8772, 0.8772, 0.8772)
Ga (0.0000, 0.0000, 0.0000)
Ag (0.2489, 0.2489, 0.2489)
Ag (0.7511, 0.7511, 0.7511)
Hg (0.5000, 0.5000, 0.5000)

Entry 7:
A relaxed CsKGaH6 crystal. Source: Alexandria via LeMat-Bulk, functional PBE.

Results
Crystal system ... trigonal
Spin magnetization ... 0.11 μB per atom
Space group ... P312
Final energy ... -23.9 eV/f.u.
- - -
Worked solution:
Entry 1:
A relaxed LaPm2F8 crystal. Source: Alexandria via LeMat-Bulk, functional PBE.

Results
ΔE_f (raw) ... -3.9119 eV per atom
Energy relative to the lowest polymorph listed for this composition ... 0 meV/atom
Crystal system ... monoclinic
Spin magnetization ... 0.09 μB per atom
Space group ... C2/m
Final energy ... -72.4 eV/f.u.

a = 8.0806 Å, b = 8.0806 Å, c = 5.8531 Å
α = 110.01°, β = 110.01°, γ = 26.65°
Sites, in units of the cell vectors:
La (0.0000, 0.0000, 0.0000)
Pm (0.3193, 0.3193, 0.3171)
Pm (0.6807, 0.6807, 0.6829)
F (0.1022, 0.1022, 0.4455)
F (0.1818, 0.1818, 0.9593)
F (0.2800, 0.2800, 0.6721)
F (0.4503, 0.4503, 0.2279)
F (0.5497, 0.5497, 0.7721)
F (0.7200, 0.7200, 0.3279)
F (0.8182, 0.8182, 0.0407)
F (0.8978, 0.8978, 0.5545)

Entry 2:
A relaxed VGaIr2 crystal. Source: Alexandria via LeMat-Bulk, functional PBE.

Results
Crystal system ... tetragonal
Spin magnetization ... 0.29 μB per atom
Space group ... P4/mmm
Final energy ... -31.2 eV/f.u.

a = 4.0450 Å, b = 4.0450 Å, c = 3.4972 Å
α = 90.00°, β = 90.00°, γ = 90.00°
Sites, in units of the cell vectors:
V (0.0000, 0.0000, 0.0000)
Ga (0.5000, 0.5000, 0.0000)
Ir (0.0000, 0.5000, 0.5000)
Ir (0.5000, 0.0000, 0.5000)

Entry 3:
A relaxed Hf2Be3Ir crystal. Source: Alexandria via LeMat-Bulk, functional PBE.

Results
Crystal system ... trigonal
Spin magnetization ... 0.00 μB per atom
Space group ... R-3m
Final energy ... -42.5 eV/f.u.

a = 4.8431 Å, b = 4.8431 Å, c = 4.8431 Å
α = 60.89°, β = 60.89°, γ = 60.89°
Sites, in units of the cell vectors:
Hf (0.1246, 0.1246, 0.1246)
Hf (0.8754, 0.8754, 0.8754)
Be (0.0000, 0.5000, 0.5000)
Be (0.5000, 0.0000, 0.5000)
Be (0.5000, 0.5000, 0.0000)
Ir (0.5000, 0.5000, 0.5000)

Entry 4:
A relaxed ZrRu2Br crystal. Source: Alexandria via LeMat-Bulk, functional PBE.

Results
ΔE_f (raw) ... 0.8068 eV per atom
Energy relative to the lowest polymorph listed for this composition ... 820 meV/atom
Crystal system ... tetragonal
Spin magnetization ... 0.00 μB per atom
Space group ... I-42d
Final energy ... -25.5 eV/f.u.

a = 5.5007 Å, b = 5.5007 Å, c = 12.3667 Å
α = 90.00°, β = 90.00°, γ = 90.00°
Sites, in units of the cell vectors:
Zr (0.0000, 0.0000, 0.0000)
Zr (0.0000, 0.5000, 0.2500)
Zr (0.5000, 0.0000, 0.7500)
Zr (0.5000, 0.5000, 0.5000)
Ru (0.2225, 0.2500, 0.6250)
Ru (0.2500, 0.7225, 0.8750)
Ru (0.2500, 0.7775, 0.3750)
Ru (0.2775, 0.2500, 0.1250)
Ru (0.7225, 0.7500, 0.1250)
Ru (0.7500, 0.2225, 0.3750)
Ru (0.7500, 0.2775, 0.8750)
Ru (0.7775, 0.7500, 0.6250)
Br (0.0000, 0.0000, 0.5000)
Br (0.0000, 0.5000, 0.7500)
Br (0.5000, 0.0000, 0.2500)
Br (0.5000, 0.5000, 0.0000)

Entry 5:
A relaxed Ac4La2Ho3 crystal. Source: Alexandria via LeMat-Bulk, functional PBE.

Results
Crystal system ... monoclinic
Spin magnetization ... 0.00 μB per atom
Space group ... C2/m
Final energy ... -39.6 eV/f.u.

a = 6.5210 Å, b = 6.5210 Å, c = 11.3049 Å
α = 106.35°, β = 106.35°, γ = 48.95°
Sites, in units of the cell vectors:
Ac (0.0069, 0.0069, 0.3355)
Ac (0.3340, 0.3340, 0.1126)
Ac (0.6660, 0.6660, 0.8874)
Ac (0.9931, 0.9931, 0.6645)
La (0.3294, 0.3294, 0.7720)
La (0.6706, 0.6706, 0.2280)
Ho (0.0000, 0.0000, 0.0000)
Ho (0.3363, 0.3363, 0.4491)
Ho (0.6637, 0.6637, 0.5509)

Entry 6:
A relaxed Y4GaAg2Hg crystal. Source: Alexandria via LeMat-Bulk, functional PBE.

Results
Crystal system ... trigonal
Spin magnetization ... 0.00 μB per atom
Space group ... R-3m
Final energy ... -38.5 eV/f.u.

a = 8.9539 Å, b = 8.9539 Å, c = 8.9539 Å
α = 33.54°, β = 33.54°, γ = 33.54°
Sites, in units of the cell vectors:
Y (0.1228, 0.1228, 0.1228)
Y (0.3728, 0.3728, 0.3728)
Y (0.6272, 0.6272, 0.6272)
Y (0.8772, 0.8772, 0.8772)
Ga (0.0000, 0.0000, 0.0000)
Ag (0.2489, 0.2489, 0.2489)
Ag (0.7511, 0.7511, 0.7511)
Hg (0.5000, 0.5000, 0.5000)

Entry 7:
A relaxed CsKGaH6 crystal. Source: Alexandria via LeMat-Bulk, functional PBE.

Results
Crystal system ... trigonal
Spin magnetization ... 0.11 μB per atom
Space group ... P312
Final energy ... -23.9 eV/f.u.